### Contents
┌──
Entry 1:
The following is a DFT calculation (GGA-PBE) of Cr2ReTc after structural relaxation.

```
Cr2ReTc
1.0
-0.8775 3.7555 -1.7366
-1.0537 -1.9201 -3.6184
-2.8074 -0.2232 0.9360
Re Cr Tc
1 2 1
Direct
0.5000 0.0000 0.5000 Re
0.0000 0.0000 0.0000 Cr
0.5000 0.5000 0.0000 Cr
0.0000 0.5000 0.5000 Tc
```

The final energy comes out at -41.86 eV for the cell shown. The total magnetization is 0.0 μB per formula unit.


Entry 2:
The following is a DFT calculation (GGA-PBE) of Rb2NaF2 after structural relaxation.

```
Rb2NaF2
1.0
-6.3551 -1.3468 -2.8481
-1.2434 -6.2254 5.7181
2.3211 7.7125 8.9014
F Rb Na
8 8 4
Direct
0.7719 0.9284 0.4758 F
0.2156 0.1227 0.8159 F
0.7156 0.3773 0.8159 F
0.2719 0.5716 0.4758 F
0.7281 0.4284 0.5242 F
0.2844 0.6227 0.1841 F
0.7844 0.8773 0.1841 F
0.2281 0.0716 0.5242 F
0.2923 0.8723 0.0153 Rb
0.7077 0.1277 0.9847 Rb
0.2951 0.8595 0.3664 Rb
0.2049 0.3595 0.6336 Rb
0.7049 0.1405 0.6336 Rb
0.7923 0.6277 0.0153 Rb
0.2077 0.3723 0.9847 Rb
0.7951 0.6405 0.3664 Rb
0.1610 0.9333 0.6586 Na
0.6610 0.5667 0.6586 Na
0.8390 0.0667 0.3414 Na
0.3390 0.4333 0.3414 Na
```

The total magnetization is 0.0 μB per formula unit. As for the uncorrected formation energy: -2.04 eV per atom. Its offset from the most stable computed form is 0.0 meV/atom.


Entry 3:
The following is a DFT calculation (GGA-PBE) of MgAgP after structural relaxation.

```
MgAgP
1.0
6.9694 0.0000 0.0000
0.0000 7.1319 0.0000
0.0000 0.0000 4.6544
Ag Mg P
4 4 4
Direct
0.3639 0.7500 0.0047 Ag
0.6361 0.2500 0.9953 Ag
0.1361 0.2500 0.5047 Ag
0.8639 0.7500 0.4953 Ag
0.0000 0.5000 0.0000 Mg
0.0000 0.0000 0.0000 Mg
0.5000 0.0000 0.5000 Mg
0.5000 0.5000 0.5000 Mg
0.2706 0.2500 0.0051 P
0.7706 0.2500 0.4949 P
0.7294 0.7500 0.9949 P
0.2294 0.7500 0.5051 P
```

The final energy comes out at -41.18 eV for the cell shown. The total magnetization is 0.0 μB per formula unit.


Entry 4:
The following is a DFT calculation (GGA-PBE) of BaSrW2 after structural relaxation.

```
BaSrW2
1.0
-1.5943 -3.6425 -4.8953
-2.6182 -0.3496 5.7268
-2.1419 1.8780 -0.7886
W Sr Ba
2 1 1
Direct
0.0000 0.0000 0.0000 W
0.5000 0.5000 0.0000 W
0.0000 0.5000 0.5000 Sr
0.5000 0.0000 0.5000 Ba
```

The total magnetization is 0.0 μB per formula unit. Its offset from the most stable computed form is 831.4 meV/atom.

----------

(1)
{"formula": "BaScAs", "functional": "PBE-GGA", "state": "optimized geometry", "lattice": [[-0.039, 3.365, -2.807], [-4.259, -0.691, -0.769], [-2.476, 6.519, 7.849]], "species": ["Ba", "Ba", "As", "As", "Sc", "Sc"], "frac_coords": [[0.000, 0.500, 0.808], [0.500, 0.000, 0.192], [0.000, 0.500, 0.336], [0.500, 0.000, 0.664], [0.500, 0.500, 0.500], [0.000, 0.000, 0.500]], "polymorph_energy_mev_per_atom": 0, "delta_e_f_mev_per_atom": -931, "dos_ef_per_ev_cell": 6.86, "total_magnetization_mub_per_fu": 0.00}

(2)
{"formula": "BaScAs", "functional": "PBE-GGA", "state": "optimized geometry", "lattice": [[4.286, 0.000, 0.000], [-2.143, 3.711, 0.000], [0.000, 0.000, 6.647]], "species": ["As", "Ba", "Sc"], "frac_coords": [[0.000, 0.000, 0.935], [0.667, 0.333, 0.278], [0.333, 0.667, 0.787]], "polymorph_energy_mev_per_atom": 263, "delta_e_f_mev_per_atom": -668, "dos_ef_per_ev_cell": 3.18, "total_magnetization_mub_per_fu": 0.40}

(3)
{"formula": "BaScAs", "functional": "PBE-GGA", "state": "optimized geometry", "lattice": [[-4.665, 1.213, -2.113], [-1.052, -1.313, -4.987], [-3.486, -3.803, -1.041]], "species": ["As", "Ba", "Sc"], "frac_coords": [[0.500, 0.500, 0.500], [0.750, 0.750, 0.750], [0.000, 0.000, 0.000]], "polymorph_energy_mev_per_atom": 1328, "delta_e_f_mev_per_atom": 397, "dos_ef_per_ev_cell": 5.71, "total_magnetization_mub_per_fu": 1.64}

(4)
└──

### Work order
The reader should find the line further above that holds "0.5000 Ba", then type out that line and all lines after it there.

### Response
0.5000 0.0000 0.5000 Ba
```

The total magnetization is 0.0 μB per formula unit. Its offset from the most stable computed form is 831.4 meV/atom.

----------

(1)
{"formula": "BaScAs", "functional": "PBE-GGA", "state": "optimized geometry", "lattice": [[-0.039, 3.365, -2.807], [-4.259, -0.691, -0.769], [-2.476, 6.519, 7.849]], "species": ["Ba", "Ba", "As", "As", "Sc", "Sc"], "frac_coords": [[0.000, 0.500, 0.808], [0.500, 0.000, 0.192], [0.000, 0.500, 0.336], [0.500, 0.000, 0.664], [0.500, 0.500, 0.500], [0.000, 0.000, 0.500]], "polymorph_energy_mev_per_atom": 0, "delta_e_f_mev_per_atom": -931, "dos_ef_per_ev_cell": 6.86, "total_magnetization_mub_per_fu": 0.00}

(2)
{"formula": "BaScAs", "functional": "PBE-GGA", "state": "optimized geometry", "lattice": [[4.286, 0.000, 0.000], [-2.143, 3.711, 0.000], [0.000, 0.000, 6.647]], "species": ["As", "Ba", "Sc"], "frac_coords": [[0.000, 0.000, 0.935], [0.667, 0.333, 0.278], [0.333, 0.667, 0.787]], "polymorph_energy_mev_per_atom": 263, "delta_e_f_mev_per_atom": -668, "dos_ef_per_ev_cell": 3.18, "total_magnetization_mub_per_fu": 0.40}

(3)
{"formula": "BaScAs", "functional": "PBE-GGA", "state": "optimized geometry", "lattice": [[-4.665, 1.213, -2.113], [-1.052, -1.313, -4.987], [-3.486, -3.803, -1.041]], "species": ["As", "Ba", "Sc"], "frac_coords": [[0.500, 0.500, 0.500], [0.750, 0.750, 0.750], [0.000, 0.000, 0.000]], "polymorph_energy_mev_per_atom": 1328, "delta_e_f_mev_per_atom": 397, "dos_ef_per_ev_cell": 5.71, "total_magnetization_mub_per_fu": 1.64}

(4)